Showing posts with label challenge. Show all posts
Showing posts with label challenge. Show all posts

Sunday, July 19, 2015

The Midori Challenge

This one was born out of drooling over the amazing midoris we came across online.  We decided to make a challenge of our (my?) ever-growing obsession with them.  The task: to make your own midori out of materials at hand.  The results:

m's Mydori:

Okay, so I cheated here a little bit.  The cover material is felt.  I didn't have any on hand so I bought some.  One layer was not enough so I used two and sewed them back to back.  It made for a nice dual color cover.  

For the inserts I used a couple of old notebooks I had in my stash (yes, I'm a notebook hoarder too.)

The top notebook I use as a journal of sorts.  The pages came printed with a design so no embellishments needed there.  The kraft notebook is a section from a thicker notebook I had that came apart.  I use that for doodles and other random stuff.  I decorated the edges of the page with a simple running line made with felt tip pens just to jazz them up a bit.  The last notebook is a regular lined notebook which I transformed into a calendar, because I really need a calendar nowadays.  I use the extra box for doodles.

Extra felt got turned into an insert with pockets for my stickies and other random stuff.  The pockets are just scrap pieces of plastic cover from the kids' school books.

The bands used for holding the note books together were scavenged from another notebook... was the colored garter.  I glue gunned the heck out of this one because it came off a couple of times.  Apparently felt hates glue.

There you have it.  My first midori from scraps (yes, except the cover).  Next time I might try making the inserts/ notebooks too.

cat's fakedori
 This is the outside. The leather is from an old belt (!),  and is super duper soft.  I left the inside as is, I just changed out the stitching with red thread to match the elastic I used for keeping it shut. The cat and fish are from a keychain.  The fish is attached to a thin piece of leather and serves as a marker, the other end of said leather has a ring which makes a handy dandy pen holder.

A closeup of button used to reinforce the elastic that serves to hold the booklets.

First booklet for random notes.  The cover page for sticking important reminders.

For this booklet, I figured out a super easy bind using a rubber band!

First half of a divider.  This part made from leftover cardstock, attached to the other half using fabric tape.  Note the animal-print magnetic bookmark made from a fridge magnet and some printed duct tape.

The other half of the divider, of recycled plastic cut from some packaging. Used to hold sticky notes.

 posted by: m & cat

Wednesday, June 10, 2015

**Inserted here: calculated crystals**
/*
MgScCl2, relaxed, DFT PBE-GGA; polymorph energy (0 for the lowest one) = 14 meV/atom; calculated volume = 105.5 Å³/f.u.; formation energy without anion corrections = -1.219 eV/atom; N(E_F) = 2.73 states/eV/f.u.
1.0
3.430 0.000 0.000
-1.715 2.971 0.000
0.000 0.000 31.065
Mg Sc Cl
3 3 6
direct
0.000 0.000 0.000
0.333 0.667 0.667
0.667 0.333 0.333
0.000 0.000 0.500
0.333 0.667 0.167
0.667 0.333 0.833
0.000 0.000 0.220
0.000 0.000 0.780
0.333 0.667 0.447
0.333 0.667 0.886
0.667 0.333 0.114
0.667 0.333 0.553

=====

MgScCl2, relaxed, DFT PBE-GGA; polymorph energy (0 for the lowest one) = 44 meV/atom; calculated volume = 94.4 Å³/f.u.; formation energy without anion corrections = -1.188 eV/atom; N(E_F) = 1.82 states/eV/f.u.
1.0
4.601 0.000 0.000
0.000 4.721 0.000
0.000 0.000 8.691
Mg Sc Cl
2 2 4
direct
0.000 0.000 0.000
0.500 0.500 0.000
0.000 0.500 0.724
0.500 0.000 0.724
0.000 0.000 0.566
0.000 0.500 0.155
0.500 0.000 0.155
0.500 0.500 0.566

----------

(1)
PuPaNbTc | PBE | optimized geometry

* E: -11.041 eV/atom
* ΔE_f: 0.025 eV per atom
* DOS at the Fermi energy: 38.92 states/eV/cell
* crystal system: cubic

abc: 6.7846 6.7846 6.7846
angles: 90.00 90.00 90.00
With the nearest neighbours (Å) after each atom.
Space group F-43m (No. 216)
Symmetry-distinct sites (fractional):
Pu 0.0000 0.0000 0.0000 [4 per cell]  4 Nb 2.94, 4 Pa 2.94
Pa 0.2500 0.2500 0.2500 [4 per cell]  4 Tc 2.94, 4 Pu 2.94
Nb 0.2500 0.2500 0.7500 [4 per cell]  4 Tc 2.94, 4 Pu 2.94
Tc 0.0000 0.0000 0.5000 [4 per cell]  4 Nb 2.94, 4 Pa 2.94

---

(2)
PuUPaNb | PBE | optimized geometry

* E: -11.041 eV/atom
* ΔE_f: 0.256 eV per atom
* DOS at the Fermi energy: 41.48 states/eV/cell
* crystal system: cubic

abc: 7.0130 7.0130 7.0130
angles: 90.00 90.00 90.00
With the nearest neighbours (Å) after each atom.
Space group F-43m (No. 216)
Symmetry-distinct sites (fractional):
Pu 0.0000 0.0000 0.0000 [4 per cell]  4 Nb 3.04, 4 Pa 3.04
U 0.0000 0.0000 0.5000 [4 per cell]  4 Nb 3.04, 4 Pa 3.04
Pa 0.2500 0.2500 0.7500 [4 per cell]  4 U 3.04, 4 Pu 3.04
Nb 0.2500 0.2500 0.2500 [4 per cell]  4 U 3.04, 4 Pu 3.04

---

(3)
PuPaNbZn | PBE | optimized geometry

* E: -8.705 eV/atom
* ΔE_f: 0.088 eV per atom
* DOS at the Fermi energy: 33.80 states/eV/cell
* crystal system: cubic

abc: 6.8429 6.8429 6.8429
angles: 90.00 90.00 90.00
With the nearest neighbours (Å) after each atom.
Space group F-43m (No. 216)
Symmetry-distinct sites (fractional):
Pu 0.0000 0.0000 0.0000 [4 per cell]  4 Zn 2.96, 4 Pa 2.96
Pa 0.2500 0.2500 0.2500 [4 per cell]  4 Nb 2.96, 4 Pu 2.96
Nb 0.0000 0.0000 0.5000 [4 per cell]  4 Pa 2.96, 4 Zn 2.96
Zn 0.2500 0.2500 0.7500 [4 per cell]  4 Nb 2.96, 4 Pu 2.96

---

(4)
PuZrPaNb | PBE | optimized geometry

* E: -10.518 eV/atom
* ΔE_f: 0.093 eV per atom
* DOS at the Fermi energy: 23.05 states/eV/cell
* crystal system: cubic

abc: 7.0773 7.0773 7.0773
angles: 90.00 90.00 90.00
With the nearest neighbours (Å) after each atom.
Space group F-43m (No. 216)
Symmetry-distinct sites (fractional):
*/

June 05 Challenge

This round was once again inspired by Danny Gregory.  Pen and ink drawing of everyday objects.


with bonus entry:


posted by: cat  & m

Tuesday, May 5, 2015

Challenge for May 2015

The S&P challenge has been resurrected!  This time around, it's a doodle-fest: draw your weird and wacky, anything goes, draw with a kid's imagination.

The kids participated, too, although I feel they just wanted to appease me to shut me up so that they could get back to their video games. :( 

The boys' work:

My attempt:  

 (Clearly this last one was reflecting what was sorely lacking to make this challenge work.)

posted by: cat

Late post!  We were having some hardware malfunctions and bricked phones, hence the late posts.  Excuse the crappy photos.  I fixed them up and made them clear as best as I could. Here are the doodle challenge entries from up North:

This one is from me. Couldn't think of anything else to draw so I drew cats.

This one is from the girl.  She drew some on her Magic Sketcher but I said it had to be on paper.  (I did the inking on a few of them because I wasn't sure if it would show up on the camera.)

The girl is way better than I was/ am at drawing.  Right now she's in her "killer bunny" phase.  She's making short cartoons on her Sketcher about killer bunnies playing pranks on other animals.  I have no idea where she gets it from.  Scares me sometimes.

posted by: m

Sunday, April 29, 2012

Between two parts of the text: calculated crystals
/*
## Tl3SbAu8 (GGA-PBE)

Data for a relaxed structure of Tl3SbAu8.

CIF file:
```
data_Tl3SbAu8
_cell_length_a 5.657
_cell_length_b 5.657
_cell_length_c 10.047
_cell_angle_alpha 73.65
_cell_angle_beta 73.65
_cell_angle_gamma 60.00
_space_group_name_H-M_alt 'P 1'
_space_group_IT_number 1
loop_
_space_group_symop_operation_xyz
'x,y,z'
loop_
_atom_site_label
_atom_site_fract_x
_atom_site_fract_y
_atom_site_fract_z
Tl1 0.372 0.372 0.884
Tl2 0.002 0.002 0.993
Tl3 0.498 0.498 0.505
Sb1 0.882 0.882 0.355
Au1 0.934 0.436 0.194
Au2 0.441 0.937 0.684
Au3 0.436 0.436 0.194
Au4 0.937 0.937 0.684
Au5 0.187 0.187 0.440
Au6 0.687 0.687 0.938
Au7 0.436 0.934 0.194
Au8 0.937 0.441 0.684
```

Output
DFT total energy (eV/atom): -3.0996
Density of states at the Fermi level (states/eV/atom): 0.467
Symmetry: R3m (160)
Formation energy (no corrections) (meV per atom): 20

---

## Tl12Sb7Au (GGA-PBE)

Data for a relaxed structure of Tl12Sb7Au.

CIF file:
```
data_Tl12Sb7Au
_cell_length_a 9.381
_cell_length_b 9.375
_cell_length_c 9.375
_cell_angle_alpha 70.54
_cell_angle_beta 70.51
_cell_angle_gamma 109.49
_space_group_name_H-M_alt 'P 1'
_space_group_IT_number 1
loop_
_space_group_symop_operation_xyz
'x,y,z'
loop_
_atom_site_label
_atom_site_fract_x
_atom_site_fract_y
_atom_site_fract_z
Tl1 0.592 0.271 0.174
Tl2 0.233 0.826 0.445
Tl3 0.254 0.220 0.061
Tl4 0.685 0.939 0.281
Tl5 0.678 0.445 0.729
Tl6 0.965 0.281 0.780
Tl7 0.035 0.719 0.220
Tl8 0.322 0.555 0.271
Tl9 0.315 0.061 0.719
Tl10 0.746 0.780 0.939
Tl11 0.767 0.174 0.555
Tl12 0.408 0.729 0.826
Sb1 0.010 0.388 0.137
Sb2 0.853 0.863 0.526
Sb3 0.378 0.526 0.612
Sb4 0.500 0.000 0.000
Sb5 0.622 0.474 0.388
Sb6 0.147 0.137 0.474
Sb7 0.990 0.612 0.863
Au1 0.000 0.000 0.000
```

Output
DFT total energy (eV/atom): -2.9809
Density of states at the Fermi level (states/eV/atom): 0.504
Symmetry: R-3 (148)
Formation energy (no corrections) (meV per atom): 46

---

## Tl2SbAu (GGA-PBE)

Data for a relaxed structure of Tl2SbAu.

CIF file:
```
data_Tl2SbAu
_cell_length_a 6.912
_cell_length_b 6.318
_cell_length_c 3.213
_cell_angle_alpha 89.99
_cell_angle_beta 62.32
_cell_angle_gamma 115.39
_space_group_name_H-M_alt 'P 1'
_space_group_IT_number 1
loop_
_space_group_symop_operation_xyz
'x,y,z'
loop_
_atom_site_label
_atom_site_fract_x
_atom_site_fract_y
_atom_site_fract_z
Au1 0.000 0.500 0.500
Sb1 0.500 0.500 0.000
Tl1 0.000 0.000 0.000
Tl2 0.500 0.000 0.500
```

Output
DFT total energy (eV/atom): -2.9349
Density of states at the Fermi level (states/eV/atom): 0.390
Symmetry: Cmmm (65)
Formation energy (no corrections) (meV per atom): 98

---

## TlSb3Au4 (GGA-PBE)

Data for a relaxed structure of TlSb3Au4.

CIF file:
```
data_TlSb3Au4
_cell_length_a 4.032
_cell_length_b 7.141
_cell_length_c 7.141
_cell_angle_alpha 71.30
_cell_angle_beta 90.00
_cell_angle_gamma 90.00
_space_group_name_H-M_alt 'P 1'
_space_group_IT_number 1
loop_
_space_group_symop_operation_xyz
'x,y,z'
loop_
_atom_site_label
_atom_site_fract_x
_atom_site_fract_y
*/

Craft-a-Week Revival

It's back!  After mustering enough courage and will power we have decided we can revive the craft-a-week and we will post on or before our deadline!

The first Craft-a-Week for this summer.  The challenge was pretty simple: finish a damn project! 
Here are the results:

cat's Brown Fabric Box

Project started out as extra material from kids' jeans.  Got turned into a fabric container with lining and some chain-stitch detail.

m's Mini Dress-up Doll Keychain

Now you can bring your doll around with you and dress her up to match your bag too!  The extra dress didn't make the deadline though.  Boo.

posted by: cat & m

Tuesday, March 2, 2010

Craft Challenge: Wardrobe Refashion

I would have posted this last week had I not been incapacitated for two days (I'm not gonna say why. Only Cat knows). Anyway, this refashion is dedicated to Jake, who I rarely get to make stuff for.
The first is a pair of cool hand-me-down camo pants. The problem was that the waist fit perfectly, but Jake's darn tall for his age and the pants were looking bit too outgrown on him. Solution: chop it up into shorts.

I also found a little tear on the backside and, knowing how boys are, I decided to patch it up with a bit of the extra cloth i cut off the leg.

The next one is a shirt that Jake rarely wore. I modified it for the upcoming bad (hot) weather coming this summer.

Cut off sleeves and added ribbing (salvaged from an old red shirt). And here it is on Jake.

PS. will post better pictures when the camera batteries get charged.
(Disclaimer: Disney owns Lightning McQueen. I just refashioned the shirt.)

posted by m

Monday, March 1, 2010

Craft Challenge: Wardrobe Refashion

A new Craft Challenge! The Wardrobe Refashion.

Ya know: Save money by stretching the useful life of something old; Save the earth by reusing something, thereby keeping it from the landfill; Save your sanity by making something.

So, here's the before shot of the sacrificial victim: an old shirt I was loath to throw away because of the cow. Hey, I like cows. They're yummy.

Here's the result:

posted by: cat

Sunday, February 7, 2010

Drawing Challenge: Trying & Failing

(Apologies for the late post. Been busy.)

Okay, so I think it's been firmly established that I absolutely CANNOT draw like Ian Bowden. I have no idea how to cartoonize my drawings.

If this were a "Draw Like Robert Crumb Challenge," I might be more on the mark. As it is, I feel like posting my best drawings just to prove to y'all that I DO know how to draw.

posted by: cat

Friday, February 5, 2010

Drawing Challenge

Here is the page I did for the (Bowden) drawing challenge. I did this on our way to the grocery.

As you can see, I suck at quick-sketching people. An my hands absolutely can't translate what i see into anything cartoony. I am sorry for not being able to do Bowden justice. I actually did a practice sketch of faces, which i think is more worthy of being posted. It isn't cartoony wither but it's the best i can do:

Altho i really enjoy Bowden's style (which reminds me more and more of Grand Theft Auto somehow...I looked it up and there's an Ian Bowden who joined the Rockstar community and I am wondering if it's the same Ian Bowden we were inspired by), I think I'll stick to doing objects instead of people.
posted by m

Friday, January 29, 2010

The Drawing (Like Ian Bowden) Challenge

A new challenge was born this morning after scoping some illustrations on flickr. We thought Ian Bowden's journals were envy-worthy, so we're trying it out: drawing in the style of comics. (Oh, alright, graphic novels. *rolls eyes* Whatever.)

My first attempt. I used a picture (Guess who! :-D) 'cause I suck at drawing comics, and I suck at drawing from real life on the fly, I figured: one challenge at a time.

(Apologies for the poor pic quality, which either makes the drawing suckier or uh, better.)

First, the outlines.

Someone pasted records of crystals at this point:
┌──
No. 1
Compound: Nd6Bi3H
Source: Alexandria via LeMat-Bulk
Functional: PBE
Structure: relaxed

## Properties
**Space group**: Cmc2_1
**Magnetic moment**: 0.0 μB/f.u.
**DOS at the Fermi energy**: 0.791 states/eV/atom
**Raw total energy**: -4.88 eV per atom
**ρ**: 8.00 Mg/m³

POSCAR file:
```
Nd6Bi3H
1.0
-3.236 -5.571 -0.293
8.600 -4.938 -1.085
-1.519 0.364 9.853
Nd Bi H
12 6 2
direct
0.160 0.741 0.644
0.660 0.644 0.741
0.227 0.455 0.906
0.727 0.906 0.455
0.008 0.082 0.918
0.751 0.279 0.721
0.251 0.721 0.279
0.508 0.918 0.082
0.227 0.094 0.545
0.727 0.545 0.094
0.160 0.356 0.259
0.660 0.259 0.356
0.520 0.967 0.759
0.020 0.759 0.967
0.323 0.415 0.585
0.823 0.585 0.415
0.020 0.033 0.241
0.520 0.241 0.033
0.089 0.225 0.775
0.589 0.775 0.225
```


No. 2
Compound: Nd4Bi3H2
Source: Alexandria via LeMat-Bulk
Functional: PBE
Structure: relaxed

## Properties
**Space group**: C2/m
**Magnetic moment**: 0.0 μB/f.u.
**DOS at the Fermi energy**: 0.362 states/eV/atom
**Raw total energy**: -4.91 eV per atom
**ρ**: 8.37 Mg/m³

POSCAR file:
```
Nd4Bi3H2
1.0
4.418 0.000 0.000
-2.209 6.732 -0.752
0.000 -3.886 8.480
Nd Bi H
4 3 2
direct
0.690 0.380 0.112
0.310 0.620 0.888
0.896 0.793 0.596
0.104 0.207 0.404
0.611 0.222 0.706
0.000 0.000 0.000
0.389 0.778 0.294
0.695 0.391 0.380
0.305 0.609 0.620
```


No. 3
Compound: Nd2BiH4
Source: Alexandria via LeMat-Bulk
Functional: PBE
Structure: relaxed

## Properties
**Space group**: R-3m
**Magnetic moment**: 0.0 μB/f.u.
**DOS at the Fermi energy**: 0.164 states/eV/atom
**Raw total energy**: -4.44 eV per atom
**ρ**: 7.52 Mg/m³

POSCAR file:
```
Nd2BiH4
1.0
3.774 0.000 1.005
1.753 3.342 1.005
-0.291 -0.176 8.681
Nd Bi H
2 1 4
direct
0.233 0.233 0.302
0.767 0.767 0.698
0.000 0.000 0.000
0.439 0.439 0.684
0.138 0.138 0.585
0.561 0.561 0.316
0.862 0.862 0.415
```


No. 4
Compound: Nd2Bi2H3
Source: Alexandria via LeMat-Bulk
Functional: PBE
Structure: relaxed

## Properties
**Space group**: C2/m
**Magnetic moment**: 0.0 μB/f.u.
**DOS at the Fermi energy**: 0.205 states/eV/atom
**Raw total energy**: -4.39 eV per atom
**ρ**: 8.22 Mg/m³

POSCAR file:
```
Nd2Bi2H3
1.0
-3.479 -1.140 0.652
3.677 -2.433 4.765
-2.264 6.994 0.146
Nd Bi H
2 2 3
direct
0.858 0.715 0.755
0.142 0.285 0.245
0.867 0.735 0.241
0.133 0.265 0.759
0.500 0.000 0.000
0.677 0.354 0.436
0.323 0.646 0.564
```


No. 5
Compound: Nd3Bi2H
Source: Alexandria via LeMat-Bulk
Functional: PBE
Structure: relaxed

## Properties
**Space group**: C2/c
**Magnetic moment**: 0.0 μB/f.u.
**DOS at the Fermi energy**: 0.562 states/eV/atom
**Raw total energy**: -4.85 eV per atom
**ρ**: 8.04 Mg/m³

POSCAR file:
```
Nd3Bi2H
1.0
-3.402 5.176 1.910
-6.299 -4.892 2.040
4.985 -2.577 4.866
Nd Bi H
6 4 2
direct
0.364 0.250 0.000
0.636 0.750 0.000
0.050 0.169 0.302
0.748 0.331 0.698
0.252 0.669 0.302
0.950 0.831 0.698
0.735 0.517 0.328
0.593 0.017 0.328
0.407 0.983 0.672
0.265 0.483 0.672
0.982 0.750 0.000
0.018 0.250 0.000
```


No. 6
Compound: Nd4Bi5H2
Source: Alexandria via LeMat-Bulk
└──

Second, shading. Hee! Fun! Sucky, but fun.

Then, I was possessed to add a blue wash.
Which wasn't a good way to find out that Stabilo markers are not waterproof. Crap.

Clearly, I haven't gotten the hang of this. Off to practice some more.

posted by: cat